Robotics and AI development in UK to get government cash

The United Kingdom government have announced a multimillion pound funding package to spur research and development in robotics and AI.

The package is part of the U.K. government’s Industrial Strategy Challenge Fund (ISCF), which aims to help U.K. science and business innovation transform existing industries and make new ones.

robotics and AI - robotic spider - Forth and UoMroboticsThis robotic spider is being developed by Forth Engineering and the University of Manchester as a remotely operated vehicle for use in harsh environments. Image source: Forth

The ISCF forms part of the U.K. government’s £4.7 billion pledge to boost research and development over the next 4 years.

The fund is now open for researchers and businesses to apply.

Six areas of R&D

The money is targeted to six areas; robotics features in one area while artificial intelligence (AI) features in two of them. The six areas are:

1 – Batteries for electric vehicles: £246 million for research, innovation, and scale up of manufacturing

2 – Robotics and AI systems for extreme environments: £93 million to improve productivity in nuclear energy, offshore energy, deep mining, space, and other industries and public services

3 – Medicine and biopharmaceuticals: £197 million for new technologies to hasten availability of new drugs and treatments

[The entry is interrupted by data records]
<<<
a | ORCA calculation (ωB97M-V with the def2-TZVPD basis set) on a gas-phase ion, C3H4N2O4 (charge -2).

Last column: Mulliken charge in e.
Geometry (Å):
O 2.36233 -1.51991 -0.02920  -0.920
O -1.50453 1.73369 -0.08567  -0.757
O -3.22303 0.21599 0.16429  -0.749
O -1.49509 -1.70920 -0.08308  -0.896
N -1.03213 -0.46458 0.13504  0.390
N 1.02870 -1.34505 0.00075  0.058
C -2.02186 0.57564 0.09295  0.337
C 0.32705 -0.21461 0.17456  0.291
C 1.12286 1.05644 -0.05365  -0.748
H 0.82477 1.52803 -0.98067  0.212
H 0.83290 1.77965 0.77493  0.190
H 0.60643 -2.23172 -0.27596  0.226
H 2.17160 0.59563 0.16570  0.366

The LUMO energy is 7.00 eV. The charge is -2. The value obtained for the gap between HOMO and LUMO is 5.23 eV. Its structure (SMILES) is C/C(=[NH+]\[O-])N([O-])C(=O)[O-].

b | ORCA calculation (ωB97M-V with the def2-TZVPD basis set) on 2 unconnected molecules or ions with the total composition C3H4N2O4.

Last column: Mulliken charge in e.
Geometry (Å):
O 2.51869 0.88100 1.82969  -0.746
O -0.37463 -2.66669 -1.65557  -0.860
O -1.72471 -1.59149 0.40121  -0.457
O 1.17400 -0.97077 -1.43656  -0.550
N -0.48230 -1.06752 -0.03454  -0.328
N 1.25269 1.01645 1.64776  0.054
C -0.01815 -1.60896 -1.08632  0.502
C 0.48154 1.46120 0.79924  0.270
C -0.47421 2.21836 0.28054  -1.222
H -1.18646 1.84334 -0.34750  0.327
H -1.97081 -2.18903 -0.34141  0.291
H 1.33820 -0.57058 -0.56357  0.406
H -0.53385 3.24469 0.50703  0.313

The LUMO energy is 6.76 eV. The charge is -2. The value obtained for the gap between HOMO and LUMO is 5.69 eV.

Most stable: a. Least stable: b.

a | ORCA calculation (ωB97M-V with the def2-TZVPD basis set) on 2 unconnected molecules or ions with the total composition C8H17NO2S.

Last column: Mulliken charge in e.
Geometry (Å):
S 0.62243 -1.64681 -1.46619  0.458
O 1.81054 -0.89297 -1.77665  -0.617
O 1.14854 -2.72077 -0.11264  -0.564
N -0.45276 -0.65171 -0.92378  -0.193
C -1.81719 -1.01676 1.21550  -1.203
C -2.85643 0.17544 -0.74344  -1.731
C 1.50286 1.38777 0.04410  -0.047
C 3.55848 2.19294 1.24504  -1.335
C 0.21743 1.19802 0.17483  -0.123
C -1.80933 -0.88909 -0.36886  1.471
C 2.31226 2.64456 0.44301  -0.446
C -2.13300 -2.26488 -0.99603  -2.207
H -3.75449 -0.34263 -0.85296  0.501
H 1.56261 3.42483 0.88371  0.298
H -0.72835 1.75285 0.32978  0.276
H 2.10983 -2.77404 0.04021  0.275
H -2.69093 0.48881 -1.78044  0.391
H -1.17603 -0.07554 1.40421  0.337
H -1.30567 -2.82983 -0.74505  0.760
H 2.29135 0.57868 -0.29405  0.288
H 3.23258 1.79264 2.14173  0.405
H -2.85504 1.01303 -0.09321  0.371
H 2.45471 3.01779 -0.56594  0.282
H 4.15624 1.40577 0.80437  0.375
H 4.11706 2.99324 1.52323  0.411
H -1.42930 -1.97522 1.43709  0.369
H -2.77089 -1.02440 1.71795  0.347
H -3.01012 -2.71667 -0.64085  0.465
H -2.30739 -2.24505 -2.04466  0.387

The LUMO energy (alpha / beta) is -0.57 / -0.56 eV. The value obtained for the gap between HOMO and LUMO (alpha / beta) is 7.90 / 7.91 eV.

b | ORCA calculation (ωB97M-V with the def2-TZVPD basis set) on C8H17NO2S in the gas phase.
>>>

4 – AI and controls systems: £38 million for research and development of next generation of systems to keep the U.K. “at the forefront of the driverless cars revolution”

5 – Lightweight composite materials: £26 million to research and develop next generation for advanced manufacturing sectors such as aerospace and automotive

6 – Satellite test facility: £99 million toward new launch technologies, and to establishing U.K. capability for the manufacture and testing of new satellites for sending payloads into orbit

The ISCF will be delivered by Innovate UK and Research Councils UK (eventually to be UK Research and Innovation UKRI). These government agencies will be working to advance all six areas.

Ruth McKernan, Chief Executive of Innovate UK, says that U.K. business has expressed “huge interest” in the ISCF.

What is a robot?

Robotics and AI funding

Innovate UK have just launched the first of a series of “challenges” for businesses wishing to apply for funding for the development of robotics and AI system for extreme environments.

The aim is to encourage technologies that “can take people out of dangerous work environments and go beyond human limits.”

Innovate UK are leading two types of robotics and AI funding: collaborative research and development with co-investment from industry (£10 million of funding available); and a demonstrator programme that will allow firms to test the new systems in “world class facilities” (£6 million).

Attached: quantum chemistry results:
-- begin --
[1]
ORCA calculation (ωB97M-V/def2-TZVPD) on a 8-piece molecular cluster, C33H47Cl2FNO16 overall.

Summary:
Gap between HOMO and LUMO in eV: 6.26
E_HOMO in hartree: -0.1555
LUMO in eV: 2.02

The geometry in ORCA input format:
```
! wB97M-V def2-TZVPD RIJCOSX def2/J DEFGRID3
* xyz -1 1
C -0.36 -1.68 4.16
C -1.33 -0.99 3.27
Cl -2.95 -0.94 3.87
C -1.03 -0.48 2.08
Cl -2.26 0.29 1.09
N 0.27 -0.51 1.59
C 0.46 -1.01 0.25
F 1.80 -1.43 0.19
C -0.45 -2.24 -0.10
O -0.43 -3.16 0.74
O -1.06 -2.13 -1.18
H 0.49 -2.00 3.56
H -0.82 -2.54 4.63
H 0.00 -1.01 4.94
H 0.74 0.38 1.74
H 0.37 -0.24 -0.51
O 1.59 1.81 -1.11
C 1.46 1.99 -2.29
O 0.30 2.45 -2.83
C 0.38 2.41 -4.26
C 1.87 2.43 -4.59
C 2.46 1.70 -3.39
H -0.09 1.48 -4.59
H -0.18 3.25 -4.66
H 2.10 1.97 -5.54
H 2.22 3.47 -4.62
H 2.48 0.62 -3.55
H 3.46 2.03 -3.11
O 2.50 1.48 2.00
C 3.07 2.52 1.96
O 4.43 2.61 2.06
C 4.83 3.98 2.09
C 3.69 4.76 1.46
C 2.48 3.91 1.85
H 4.99 4.27 3.14
H 5.78 4.08 1.56
H 3.63 5.80 1.80
H 3.80 4.77 0.37
H 2.08 4.18 2.82
H 1.68 3.91 1.12
O -3.18 0.99 6.29
C -4.15 1.67 6.36
O -4.07 3.01 6.60
C -5.38 3.57 6.77
C -6.32 2.60 6.04
C -5.61 1.26 6.24
H -5.60 3.64 7.84
H -5.38 4.57 6.34
H -7.34 2.63 6.42
H -6.34 2.85 4.98
H -5.90 0.78 7.17
H -5.72 0.55 5.42
O 4.30 0.87 -6.20
C 3.69 0.13 -6.92
O 2.37 -0.14 -6.72
C 1.92 -1.12 -7.68
C 2.90 -1.04 -8.84
C 4.19 -0.64 -8.12
H 1.94 -2.09 -7.19
H 0.89 -0.88 -7.95
H 2.96 -1.98 -9.39
H 2.60 -0.25 -9.53
H 4.74 -1.51 -7.76
H 4.85 -0.02 -8.71
O 2.14 -4.21 -8.14
C 2.67 -5.00 -7.41
O 3.87 -4.76 -6.85
C 4.31 -5.89 -6.07
C 3.03 -6.65 -5.73
C 2.16 -6.35 -6.95
H 4.99 -6.48 -6.69
H 4.85 -5.52 -5.21
H 3.20 -7.71 -5.55
H 2.58 -6.22 -4.84
H 2.31 -7.06 -7.77
H 1.09 -6.29 -6.73
O -6.17 -2.02 3.09
C -5.72 -2.70 2.21
O -4.48 -2.58 1.74
C -4.25 -3.45 0.62
C -5.30 -4.55 0.76
C -6.45 -3.79 1.43
H -4.37 -2.87 -0.29
H -3.21 -3.79 0.67
H -5.55 -5.01 -0.19
H -4.93 -5.33 1.44
H -7.10 -3.31 0.70
H -7.05 -4.39 2.10
O -0.09 4.88 3.85
C 0.05 4.31 4.89
O 1.28 3.94 5.33
C 1.16 3.18 6.55
C -0.18 3.60 7.15
C -1.00 3.88 5.89
H 1.19 2.12 6.29
H 2.02 3.42 7.18
H -0.61 2.83 7.79
H -0.05 4.51 7.73
H -1.48 2.98 5.52
H -1.74 4.66 6.01
*
```

Mulliken atomic charge list, values in e, 2 entries:
1. C -1.27
2. C 0.58

[2]
ORCA calculation (ωB97M-V/def2-TZVPD) on an isolated ion of composition C33H47ClN3O8S and charge -1 at a distorted geometry.

Summary:
Gap between HOMO and LUMO in eV: 4.15
E_HOMO in hartree: -0.1021
LUMO in eV: 1.37

The geometry in ORCA input format:
```
! wB97M-V def2-TZVPD RIJCOSX def2/J DEFGRID3
* xyz -1 1
C -5.13 -0.15 1.49
C -3.67 0.01 1.17
C -2.98 1.11 1.98
C -1.52 0.79 2.25
N -0.51 1.14 1.19
C -0.69 2.59 0.89
C -0.74 3.53 2.06
O -0.11 3.49 3.04
Cl -1.86 4.88 1.80
C 0.92 0.98 1.66
C 1.10 0.17 2.94
C 2.54 0.22 3.47
C 2.96 1.55 4.00
O 4.07 1.96 3.86
O 2.03 2.25 4.67
C 1.86 0.37 0.59
O 1.96 -1.03 0.61
C 1.63 0.90 -0.84
N 2.02 2.30 -0.79
C 2.63 0.10 -1.75
C 4.10 0.26 -1.44
C 4.78 1.46 -1.71
C 6.13 1.65 -1.46
C 6.89 0.62 -0.92
C 6.25 -0.59 -0.68
C 4.89 -0.80 -0.93
-- stop --

The Engineering and Physical Sciences Research Council (EPSRC) will also be leading on £42 million for research hubs to push and speed up the “translation of fundamental science in robotics and AI systems.”

Also, the Natural Environment Research Council (NERC) are putting £16 million into marine autonomous systems and have already awarded £4.3 million for the development of new sensors that can work in extreme oceanic conditions.

Nuclear decommissioning

One extreme and hazardous environment that is expected to benefit from some of the ISCF funding for robotics and AI is in the decommissioning of nuclear sites.

The U.K.’s Nuclear Decommissioning Authority forecast that the future cost of cleaning up Britain’s nuclear legacy, comprising 17 historic nuclear sites, will be around £117 billion over the next 120 years.

There are many ways that robots can help the job of nuclear decommissioning to make work safer and reduce costs. Not only do robots work fast and effectively, they can also reduce nuclear workers’ exposure to harmful radiation, such as when demolishing buildings and retrieving radioactive waste.

Robots and AI systems are already being developed for nuclear decommissioning. An example of this is the development of a “robotic spider” for use in harsh environments. The project is a collaboration between the University of Manchester and the Cumbria-based small engineering firm Forth.

Robots for a safer world

The following video from Innovate UK summarizes their “Robots for a Safer World Challenge,” launched as part of the Industrial Strategy Challenge Fund.

Video – Artificial Intelligence

AI (artificial intelligence) refers to software technologies that make devices think and behave like us (humans).

Catharine Paddock PhD
Catharine has been writing news and web content for 10 years. Prior to that, her career spans technical authorship, training, human resource management, psychotherapy, stress and career counselling, and small business mentoring. In 2008, she gained a PhD from Manchester Business School after completing her own research and presenting a thesis on psychosocial factors in small and medium enterprises (SMEs). She has a Joint Hons Bachelor of Science in Physics with Chemistry from the University of Manchester (1975).